The Clinic Staff

Our highly experienced medical team are ably backed by our friendly and efficient team of office and reception staff. From your very first contact to our clinic, our aim is to deliver the highest possible standards of patient care.

Dr Julian Handley , MD FRCP Consultant Dermatologist

Dr Handley was born in Zimbabwe and completed his medical training at St Thomas’s Hospital , London . He has over thirty years’ experience as a Consultant Dermatologist based at The Ulster Hospital Dundonald, enjoying being at the cutting edge of advances in Laser and Cosmetic Dermatology in Ireland. As well as an interest in cosmetic procedures, Dr Handley also has vast experience in the diagnosis of skin cancers, surgical removal ,and post -operative after care for the patient.

Mrs Julie Handley is our clinic operations manager

Attached: records of crystals >
'''
The following is a PBE with a Hubbard U calculation of a relaxed structure of Li7NiO4F2, from Materials Project.

The structure in POSCAR format:
```
Li7NiO4F2
1.0
5.304 0.000 0.000
2.392 5.205 0.000
0.608 2.593 9.775
Li Ni O F
14 2 8 4
Cartesian
0.000 0.000 0.000
6.247 2.152 0.764
1.071 2.266 4.682
4.287 5.300 7.020
3.462 2.487 2.972
3.967 4.344 9.254
4.521 4.773 4.000
2.766 0.535 1.843
4.216 3.528 0.761
3.769 2.560 6.029
6.216 3.884 7.509
6.972 5.213 5.379
6.801 3.813 2.453
7.449 5.973 8.333
2.925 2.237 8.192
5.402 0.798 2.604
1.549 1.975 2.734
2.124 3.727 9.086
3.429 4.453 2.204
3.968 6.305 8.772
4.384 3.289 7.747
6.051 6.017 7.069
4.398 1.611 1.176
6.313 5.374 3.517
1.896 3.367 5.926
3.506 5.688 5.338
4.595 2.929 4.449
6.112 4.006 0.590
```

Calculated values
Size of the total moment in Bohr magnetons per cell: 4.0
Excess energy over the best structure of this formula in the dataset in meV per atom: 6
Energy in eV per cell: -132.67


The following is a PBE with a Hubbard U calculation of a relaxed structure of Li4Ni3O2F6, from Materials Project.

The structure in POSCAR format:
```
Li4Ni3O2F6
1.0
1.490 0.877 4.833
10.303 -0.833 -4.803
0.019 5.157 0.012
Li F Ni O
8 12 6 4
Cartesian
5.935 0.138 0.087
8.817 5.137 0.098
7.343 2.490 -0.046
0.038 0.116 0.072
2.920 5.115 0.084
4.479 2.648 -0.046
1.446 2.468 -0.062
10.376 2.670 -0.031
2.943 1.574 -1.192
8.839 1.596 -1.177
4.501 4.387 -1.063
5.965 3.425 1.183
2.899 3.377 1.100
7.331 4.360 -1.131
2.925 5.215 3.687
8.844 0.177 -3.601
8.795 3.399 1.116
10.371 2.570 -3.635
4.438 1.032 1.217
10.398 4.408 -1.048
1.498 4.309 2.428
2.894 1.728 2.414
5.978 1.755 2.445
10.383 0.899 -2.374
5.904 3.454 -2.390
7.298 0.873 -2.404
7.380 0.830 1.324
1.490 2.653 3.534
5.897 1.798 -1.284
1.484 0.808 1.309
```

Calculated values
Size of the total moment in Bohr magnetons per cell: 0.0
Energy in eV per cell: -141.12


The following is a PBE with a Hubbard U calculation of a relaxed structure of Li3Ni4O4F3, from Materials Project.

The structure in POSCAR format:
```
Li3Ni4O4F3
1.0
-1.478 1.478 14.609
1.478 -1.478 14.609
1.478 1.478 -14.609
Li Ni O F
3 4 4 3
Cartesian
0.000 0.000 0.000
0.000 0.000 12.557
0.000 0.000 16.661
0.000 0.000 4.159
0.000 0.000 8.368
0.000 0.000 20.849
0.000 0.000 25.059
0.000 0.000 6.250
0.000 0.000 10.484
0.000 0.000 18.733
0.000 0.000 22.968
0.000 0.000 1.997
0.000 0.000 14.609
0.000 0.000 27.221
```

Calculated values
Size of the total moment in Bohr magnetons per cell: 8.0
Energy in eV per cell: -68.18


The following is a PBE with a Hubbard U calculation of a relaxed structure of LiNi5O3F5, from Materials Project.

The structure in POSCAR format:
```
LiNi5O3F5
1.0
5.237 -3.025 0.000
5.237 3.025 0.000
-3.476 0.000 10.001
Li Ni O F
2 10 6 10
Cartesian
0.000 0.000 0.000
3.503 0.000 4.992
2.606 1.545 1.901
-1.699 0.000 6.901
0.868 1.482 6.903
0.010 0.000 3.440
0.010 0.000 9.194
0.868 -1.482 6.903
2.606 -1.545 1.901
5.276 0.000 1.898
3.504 0.000 8.431
6.994 0.000 4.197
1.635 0.000 7.973
'''
Here the text continues >

Julie has been actively involved with the clinic since its inception in 1997, taking the first phone call enquiry and booking in our first patient for Laser treatment. Alongside a career in Education, Julie has been actively involved over the years in managing the clinic and looks after marketing, advertising and social media. Julie’s role is also to ensure that your entire experience at our clinic is efficient, relaxing, and comfortable, mirroring our exemplary standards in medical care.

Specialist Nurse Beulah Morrow, is our Specialist Nurse and in charge of our nursing staff

Beulah has 40 years of nursing experience, having worked in surgical wards and Intensive Care at Ulster Hospital Dundonald. Beulah has been with the clinic for almost 20 years and oversees our nursing staff, advises on infection control, supervises the ordering, and ensures that our clinic meets the stringent standards as set out by RQIA’s annual inspection. Beulah assists Dr Handley in our Dermatology Clinics, assisting with surgical procedures. Beulah is also a specialist nurse, offering laser, energy – based devices and cosmetic treatments such as lip augmentation, sclerotherapy and neurotoxins.

Specialist Nurse, Amanda Houston is our Specialist Nurse and runs our Obagi Skin Care Consultaion Service.

Amanda has over 25 years of nursing experience. Amanda has been specialising in Aesthetic and Laser treatments for the last 12 years. Amanda’s experience also includes Radio Frequency for skin tightening , TCA Peels, Sculptra filler injections, and Microdermabrasion. Amanda also offers specialist skin consultations in the use of the acclaimed cosmeceutical Obagi range. This cosmeceutical range is not available over the counter. Obagi products can address common skin problems, such as acne, dryness, redness, and general cosmetic issues and products can be tailored for all ages. Amanda can give expert advice and tailor a skin regime based on your individual needs.

Dr Felicity Burnham, MBChB MRCGP PGdip (MH)

Dr Felicity Burnham has worked in healthcare for the last 16 years. She completed her undergraduate medical training at Glasgow university, graduating in 2007.   After initial postgraduate training in England Dr Burnham completed training in general practice, before specialising in dermatology and aesthetic training with the institute in 2016. She completed advanced dermatosurgery training with British society for dermatological surgery in 2023.

Dr Jack De Wolf, MBChB, MRCGP, BSc (Hons), PGdip (Derm, MH)

Dr Jack de Wolf graduated from University of Manchester in 2014 completing his medical degree as well as an intercalated degree in Pharmacology & Physiology. Since then he has completed training (CCT) in General Practice and undertaken post graduate dermatology, minor surgery, laser and aesthetic qualifications. He has attended advanced dermatosurgery training with the BSDS, multiple advanced aesthetics courses and has obtained laser core of knowledge. His areas of interest are general dermatology, dermoscopy, minor surgery and Laser. He is a member of the Primary Care Dermatology Society, British Medial Laser Association and is on the NI Performers list.

Dr David Todd, MD FRCP Consultant Dermatologist

Dr Todd graduated in medicine from Queen’s University Belfast in 1993. Following his postgraduate dermatology training in Belfast he has worked as a Consultant Dermatologist since 1994. He spent 6 years in the Middle East helping to develop the undergraduate and postgraduate dermatology training programme at a Jordanian university. He then worked as an NHS Consultant Dermatologist from 2000 until his retirement in July 2023. He has continued one private dermatology clinic weekly.

Nurse, Rosie Jackson, part of our of our nursing team.

Rosie has been nursing, with Bloomfield Laser Clinic for 10 years. She qualified from The Ulster Hospirtal in 1977 specialising in Adult Nursing, Paedeatrics and Midwifery. Most of Rosie’s nursing career was spent as a senior staff nurse in the Paediatric medical ward ( U.H.D ).

Nurse Jude Webb, part of our of our nursing team.

Jude trained in Belfast City Hospital, qualifying as Registered General Nurse in 1990 ,then going on to work in General Surgery at the R.V.H. After the birth of Jude’s two sons, Jude returned to Bangor, working in a local GP’s surgery where she continues to work part time. Jude joined the nursing staff of Bloomfield Laser Clinic four years ago and enjoys the contrast of the work there which she feels is current and interesting and enjoys her fabulous working environment.

Mrs Janine Trethowan, Clinic’s Chief administrator

Janine is at the core of our business ensuring that the clinic runs smoothly and efficiently. Janine is the clinic’s chief administrator and leads and coordinates our team of office and reception staff

Mrs Claire Storey, Administrator and Receptionist

Claire works both in the office and reception at Bloomfield, dividing her time between office work and her fashion consultancy business. Claire started her career as a court stenographer, moving on to working in the travel industry, for 9 years, holding the position of Regional Sales Manager for Thomson Holidays.

Dr Bryan Murphy, MD FRCP Consultant Dermatologist

Dr Bryan Murphy is a specialist Consultant Dermatologist. Having graduated from Medicine at Queen’s University Belfast, Dr Murphy completed postgraduate core medical training and Dermatology specialist registrar training in Northern Ireland. In 2024, he sought to expand his professional repertoire and completed training in Cosmetic Dermatology at the esteemed Harley Academy in London.
For several years he worked as a consultant Dermatologist at Belfast City Hospital where he ran both general inflammatory and suspect cancer clinics, participated in teledermatology services, and oversaw and lead a joint consultant and nurse-led genital skin service, before transitioning to the independent sector. He is happy to see patients aged 13 and older, offering expert assessment for all general skin concerns. Dr Murphy is the former-chair of the Regional Skin Cancer MDT Meeting and as such is very experienced in Skin Cancer Screening and Surgical Management.

Mr Jeremy Bond, MD FRCS Consultant Plastic Surgeon

Mr Jeremy Bond is a Consultant Plastic Surgeon since 2013 and is based at the Ulster hospital. He has developed sub specialist interest in Skin cancer, Scar management, Scar revision, wound healing and the use of Medical Lasers. He is the current chair of the Regional Skin Cancer MDT meeting and Multidisciplinary team improvement lead for the regions skin cancer services. He has been extensive experience from several Fellowships including Australia for Surgical Oncology and Melanoma, Medical laser fellowship in Swansea and Reconstructive Cosmetic Surgery fellowship in London. Mr Bond has a particular interest in using C02 laser for scars, wound healing and resurfacing. Mr Bond sees patients of any age and is registered with Aviva, H3, Vitality and WPA.